== Request ==
Quote all of the lines underneath without additions.

== Listing ==
____________
Computed, not measured: a molecular structure, CaN7O21 at a distorted geometry, with ωB97M-V with the def2-TZVPD basis set.

XYZ file:
```
29
Properties=species:S:1:pos:R:3:forces:R:3
Ca 0.1503 0.1433 -0.0120 -0.110 -0.454 -0.042
N 0.8968 -2.9115 -1.9036 -0.213 0.067 0.360
O 0.2576 -3.9863 -1.8172 -0.005 -0.073 -0.047
O 0.6189 -1.9669 -1.1377 0.132 -0.375 -0.462
O 1.8155 -2.8095 -2.7366 0.179 0.026 -0.160
N 0.7051 3.6457 -0.0426 0.478 -0.077 -0.125
O 0.8412 4.1957 1.0663 -0.111 0.045 0.096
O 0.8593 2.4094 -0.1556 -0.217 0.513 -0.012
O 0.4875 4.3417 -1.0566 -0.105 0.063 -0.068
N 1.1994 0.2375 3.3611 0.420 0.357 -0.220
O 0.6575 0.8503 4.3083 -0.184 -0.041 0.154
O 0.8831 0.5154 2.1850 -0.063 -0.158 0.568
O 2.1022 -0.5846 3.5919 -0.019 -0.107 0.062
N -1.9244 0.3478 -2.8192 0.276 1.035 -1.006
O -2.8312 1.1926 -3.0142 -0.108 -0.180 0.226
O -0.9581 0.6556 -2.0848 -0.243 -0.332 0.177
O -1.9150 -0.7009 -3.4763 -0.092 -0.477 0.155
N -1.2059 -2.7821 1.9734 0.390 -0.264 0.411
O -0.7753 -1.8213 1.3242 -0.249 -0.117 0.167
O -0.4169 -3.4656 2.6846 -0.103 0.068 -0.145
O -2.4161 -3.0911 1.9567 -0.172 0.051 -0.102
N -3.3175 0.7783 0.5586 -0.208 0.187 -0.705
O -2.0921 1.0056 0.6165 0.004 0.043 0.325
O -3.7497 -0.2565 0.0417 0.020 -0.062 0.160
O -4.1259 1.6538 0.9748 -0.014 0.028 0.342
N 3.5551 0.5964 -1.0962 -0.118 0.166 -0.458
O 2.7316 0.1062 -0.3027 0.169 0.177 -0.055
O 3.3621 0.5632 -2.3271 0.007 -0.001 0.171
O 4.6052 1.1380 -0.6606 0.258 -0.109 0.232
```
Forces are in eV/Å.

energy relative to the best compared isomer or geometry (same formula, charge and spin) = 0.000 eV
frontier orbital gap = 7.00 eV
charge = -5
HOMO level = 4.566 eV
LUMO level = 0.42520 Eh
E_tot = -2639.89638 a.u.

* * * * *

Formula: CHF3OPr
Source: the OMol25 dataset
Level of theory: the ωB97M-V functional and the def2-TZVPD basis

* ΔE to the lowest compared entry with this formula, charge and spin: 0.0 kJ/mol
* multiplicity: 4
* net charge: +2
* highest occupied orbital energy (spin up / spin down): -0.57868 / -0.76508 hartree
* orbital gap (spin up / spin down): 2.50 / 10.09 eV
* M: 226.92 g/mol

Element x y z (Å)
O: 2.20678 0.21422 -1.21346
Pr: 3.52274 1.80498 -0.53372
H: 1.86869 -0.65925 -0.84452
C: 0.48382 -3.38755 -0.26172
F: -0.50226 -3.58004 -1.11652
F: 1.36664 -4.35978 -0.37853
F: 0.00407 -3.37297 0.96862

* * * * *

No. 1
# C89H181N11O9

11 unconnected molecules or ions with the total composition C89H181N11O9 at a distorted geometry (the ωB97M-V functional and the def2-TZVPD basis, the OMol25 dataset).

```
290
C89H181N11O9 the ωB97M-V functional and the def2-TZVPD basis
C -18.7884 -26.8149 0.4011
C -18.6880 -27.1889 1.8898
C -19.6896 -28.2984 2.1389
C -19.4189 -29.2342 3.3311
C -17.8609 -29.5653 3.4321
C -16.9359 -28.3779 3.4179
N -17.2919 -27.5447 2.1794
O -16.4271 -26.4246 1.9843
C -16.9970 -27.6645 4.7880
C -15.4964 -28.8995 3.2748
C -19.1239 -25.9622 2.7308
H -19.8437 -26.5448 0.2649
H -18.7289 -27.7179 -0.2092
H -18.1405 -25.9866 0.0453
H -20.6979 -27.8874 2.1882
H -19.6944 -28.9735 1.2338
H -19.8912 -30.1826 3.2540
H -19.7101 -28.7445 4.2486
H -17.6051 -30.3088 2.6857
H -17.7855 -30.1805 4.3030
H -16.4564 -26.7360 4.5939
H -18.0655 -27.5288 5.0949
H -16.5116 -28.3443 5.4946
H -14.8139 -28.1177 3.4720
H -15.2330 -29.7150 3.9226
H -15.3361 -29.2864 2.2635
H -19.1647 -26.1992 3.8187
H -20.1564 -25.7363 2.5174
H -18.4588 -25.0631 2.6950
H -16.7382 -25.7886 2.5981
C -22.1172 -23.1518 4.5327
C -23.0375 -24.3053 4.7276
C -24.2034 -23.8562 5.5946
C -25.3596 -24.8171 5.7261
C -25.7504 -25.2558 4.2751
C -24.5663 -25.7150 3.4337
N -23.5258 -24.7061 3.4022
O -22.3376 -25.1380 2.7412
C -24.1749 -27.0993 3.8709
C -25.1422 -25.7405 1.9732
C -22.2800 -25.4217 5.5453
H -21.1946 -23.4243 3.9910
H -21.8163 -22.7675 5.5259
H -22.5869 -22.2661 4.0625
H -23.7809 -23.4972 6.5490
H -24.5950 -22.9705 5.0772
H -26.1758 -24.3575 6.2746
H -25.0698 -25.6534 6.4058
H -26.1901 -24.3868 3.7838
H -26.5235 -26.0561 4.3246
H -25.0996 -27.7095 3.7991
H -23.4518 -27.5174 3.2239
____________

== Result ==
Computed, not measured: a molecular structure, CaN7O21 at a distorted geometry, with ωB97M-V with the def2-TZVPD basis set.

XYZ file:
```
29
Properties=species:S:1:pos:R:3:forces:R:3
Ca 0.1503 0.1433 -0.0120 -0.110 -0.454 -0.042
N 0.8968 -2.9115 -1.9036 -0.213 0.067 0.360
O 0.2576 -3.9863 -1.8172 -0.005 -0.073 -0.047
O 0.6189 -1.9669 -1.1377 0.132 -0.375 -0.462
O 1.8155 -2.8095 -2.7366 0.179 0.026 -0.160
N 0.7051 3.6457 -0.0426 0.478 -0.077 -0.125
O 0.8412 4.1957 1.0663 -0.111 0.045 0.096
O 0.8593 2.4094 -0.1556 -0.217 0.513 -0.012
O 0.4875 4.3417 -1.0566 -0.105 0.063 -0.068
N 1.1994 0.2375 3.3611 0.420 0.357 -0.220
O 0.6575 0.8503 4.3083 -0.184 -0.041 0.154
O 0.8831 0.5154 2.1850 -0.063 -0.158 0.568
O 2.1022 -0.5846 3.5919 -0.019 -0.107 0.062
N -1.9244 0.3478 -2.8192 0.276 1.035 -1.006
O -2.8312 1.1926 -3.0142 -0.108 -0.180 0.226
O -0.9581 0.6556 -2.0848 -0.243 -0.332 0.177
O -1.9150 -0.7009 -3.4763 -0.092 -0.477 0.155
N -1.2059 -2.7821 1.9734 0.390 -0.264 0.411
O -0.7753 -1.8213 1.3242 -0.249 -0.117 0.167
O -0.4169 -3.4656 2.6846 -0.103 0.068 -0.145
O -2.4161 -3.0911 1.9567 -0.172 0.051 -0.102
N -3.3175 0.7783 0.5586 -0.208 0.187 -0.705
O -2.0921 1.0056 0.6165 0.004 0.043 0.325
O -3.7497 -0.2565 0.0417 0.020 -0.062 0.160
O -4.1259 1.6538 0.9748 -0.014 0.028 0.342
N 3.5551 0.5964 -1.0962 -0.118 0.166 -0.458
O 2.7316 0.1062 -0.3027 0.169 0.177 -0.055
O 3.3621 0.5632 -2.3271 0.007 -0.001 0.171
O 4.6052 1.1380 -0.6606 0.258 -0.109 0.232
```
Forces are in eV/Å.

energy relative to the best compared isomer or geometry (same formula, charge and spin) = 0.000 eV
frontier orbital gap = 7.00 eV
charge = -5
HOMO level = 4.566 eV
LUMO level = 0.42520 Eh
E_tot = -2639.89638 a.u.

* * * * *

Formula: CHF3OPr
Source: the OMol25 dataset
Level of theory: the ωB97M-V functional and the def2-TZVPD basis

* ΔE to the lowest compared entry with this formula, charge and spin: 0.0 kJ/mol
* multiplicity: 4
* net charge: +2
* highest occupied orbital energy (spin up / spin down): -0.57868 / -0.76508 hartree
* orbital gap (spin up / spin down): 2.50 / 10.09 eV
* M: 226.92 g/mol

Element x y z (Å)
O: 2.20678 0.21422 -1.21346
Pr: 3.52274 1.80498 -0.53372
H: 1.86869 -0.65925 -0.84452
C: 0.48382 -3.38755 -0.26172
F: -0.50226 -3.58004 -1.11652
F: 1.36664 -4.35978 -0.37853
F: 0.00407 -3.37297 0.96862

* * * * *

No. 1
# C89H181N11O9

11 unconnected molecules or ions with the total composition C89H181N11O9 at a distorted geometry (the ωB97M-V functional and the def2-TZVPD basis, the OMol25 dataset).

```
290
C89H181N11O9 the ωB97M-V functional and the def2-TZVPD basis
C -18.7884 -26.8149 0.4011
C -18.6880 -27.1889 1.8898
C -19.6896 -28.2984 2.1389
C -19.4189 -29.2342 3.3311
C -17.8609 -29.5653 3.4321
C -16.9359 -28.3779 3.4179
N -17.2919 -27.5447 2.1794
O -16.4271 -26.4246 1.9843
C -16.9970 -27.6645 4.7880
C -15.4964 -28.8995 3.2748
C -19.1239 -25.9622 2.7308
H -19.8437 -26.5448 0.2649
H -18.7289 -27.7179 -0.2092
H -18.1405 -25.9866 0.0453
H -20.6979 -27.8874 2.1882
H -19.6944 -28.9735 1.2338
H -19.8912 -30.1826 3.2540
H -19.7101 -28.7445 4.2486
H -17.6051 -30.3088 2.6857
H -17.7855 -30.1805 4.3030
H -16.4564 -26.7360 4.5939
H -18.0655 -27.5288 5.0949
H -16.5116 -28.3443 5.4946
H -14.8139 -28.1177 3.4720
H -15.2330 -29.7150 3.9226
H -15.3361 -29.2864 2.2635
H -19.1647 -26.1992 3.8187
H -20.1564 -25.7363 2.5174
H -18.4588 -25.0631 2.6950
H -16.7382 -25.7886 2.5981
C -22.1172 -23.1518 4.5327
C -23.0375 -24.3053 4.7276
C -24.2034 -23.8562 5.5946
C -25.3596 -24.8171 5.7261
C -25.7504 -25.2558 4.2751
C -24.5663 -25.7150 3.4337
N -23.5258 -24.7061 3.4022
O -22.3376 -25.1380 2.7412
C -24.1749 -27.0993 3.8709
C -25.1422 -25.7405 1.9732
C -22.2800 -25.4217 5.5453
H -21.1946 -23.4243 3.9910
H -21.8163 -22.7675 5.5259
H -22.5869 -22.2661 4.0625
H -23.7809 -23.4972 6.5490
H -24.5950 -22.9705 5.0772
H -26.1758 -24.3575 6.2746
H -25.0698 -25.6534 6.4058
H -26.1901 -24.3868 3.7838
H -26.5235 -26.0561 4.3246
H -25.0996 -27.7095 3.7991
H -23.4518 -27.5174 3.2239